Thursday, October 3, 2013

Tight, Toned Arms: Plastic Surgeons See Increase in Brachioplasty

Orange County Brachioplasty
Many women dream of toned arms that they don't have to hide in longer sleeves, but many struggle to get their arms to cooperate with those dreams. You see toned arms mentioned in magazines ranging from Self to Shape and give the exercises a shot. Many times, you end up with muscle, but that flabby skin and fatty tissue doesn't go away without surgical removal.

Between 2011 and 2012, the American Society for Aesthetic Plastic Surgery reports the number of upper arm lifts increased by 4,260. That same surgery saw an increase of more than 812 percent between 1997 and 2012, according to the same report. Brachioplasty, also known as an upper arm lift, isn't meant to replace diet and exercise, but it does help tone arms when other measures fail.

What to Expect During a Consultation

One of the things your plastic surgeon needs to check is how much excess skin and fatty tissue are present. Where the sagging skin is minimal, a mini brachioplasty may be all you need, otherwise a full brachioplasty is necessary. The benefit to a mini brachioplasty is that the incision is much smaller. For a full brachioplasty, the incision can run from your armpit to your elbow.

You will need to discuss any current or past health issues and surgeries. Your plastic surgeon must know everything about you to prevent complications during or after the surgery. Make sure you are honest about your alcohol intake, smoking, medications, and any vitamins or herbal supplements you take. If you've had past reactions to anesthesia, that is also important information for your surgeon.

<<<
Record 1
Structure and calculated powder XRD pattern of Tl4S3 (a PBE-relaxed structure; Cu Kα).
Peak positions follow from Bragg's law for the DFT cell and can differ from measured ones.

Structure:
Cell lengths 8.287, 13.097, 8.111 Å; angles 90.00, 103.55, 90.00 degrees
Space group P2_1/c (No. 14)
One atom of each set of equivalent atoms:
Tl 0.031 0.003 0.273 (multiplicity 4)
Tl 0.206 0.224 0.039 (multiplicity 4)
Tl 0.304 0.709 0.586 (multiplicity 4)
Tl 0.409 0.535 0.222 (multiplicity 4)
S 0.004 0.248 0.242 (multiplicity 4)
S 0.260 0.028 0.043 (multiplicity 4)
S 0.460 0.163 0.580 (multiplicity 4)

Peak list (6 most intense, 10° ≤ 2θ ≤ 80°, low angle first)
- hkl 2 2 0, 2θ 26.0, I 65
- hkl 0 2 2, 2θ 26.4, I 100
- hkl 0 4 0, 2θ 27.2, I 51
- hkl 2 0 -2, 2θ 27.7, I 59
- hkl 2 1 1, 2θ 28.0, I 37
- hkl 2 3 -1, 2θ 30.4, I 31

---

Record 2
Structure and calculated powder XRD pattern of NaZnCu4 (a PBE-relaxed structure; Cu Kα).
Peak positions follow from Bragg's law for the DFT cell and can differ from measured ones.

Structure:
Cell lengths 7.037, 7.037, 7.037 Å; angles 90.00, 90.00, 90.00 degrees
Space group F-43m (No. 216)
One atom of each set of equivalent atoms:
Na 0.000 0.000 0.000 (multiplicity 4)
Zn 0.250 0.250 0.250 (multiplicity 4)
Cu 0.124 0.124 0.624 (multiplicity 16)

Peak list (6 most intense, 10° ≤ 2θ ≤ 80°, low angle first)
- hkl 1 1 1, 2θ 21.9, I 28
- hkl 2 2 0, 2θ 36.1, I 17
- hkl 3 1 1, 2θ 42.6, I 100
- hkl 2 2 2, 2θ 44.6, I 52
- hkl 3 3 3, 2θ 69.4, I 28
- hkl 4 4 0, 2θ 76.6, I 24

---

Record 3
Structure and calculated powder XRD pattern of PuAlCl (a PBE-relaxed structure; Cu Kα).
Peak positions follow from Bragg's law for the DFT cell and can differ from measured ones.

Structure:
Cell lengths 4.2783, 4.2783, 30.9841 Å; angles 90.00, 90.00, 120.00 degrees
Space group R-3m (No. 166, hexagonal axes)
One atom of each set of equivalent atoms:
Pu 0.0000 0.0000 0.0690 (multiplicity 6)
Al 0.0000 0.0000 0.3380 (multiplicity 6)
Cl 0.0000 0.0000 0.2171 (multiplicity 6)

Peak list (6 most intense, 10° ≤ 2θ ≤ 80°, low angle first)
- hkl 0 0 6, 2θ 17.2, I 58
- hkl 1 0 1, 2θ 24.2, I 98
- hkl 1 0 7, 2θ 31.5, I 100
- hkl 0 1 8, 2θ 33.5, I 56
- hkl 1 1 0, 2θ 42.2, I 48
- hkl 1 1 6, 2θ 45.9, I 30

---

Record 4
Structure and calculated powder XRD pattern of MnI2 (a PBE-relaxed structure; Cu Kα).
Peak positions follow from Bragg's law for the DFT cell and can differ from measured ones.

Structure:
Cell lengths 4.1568, 4.1568, 30.3462 Å; angles 90.00, 90.00, 120.00 degrees
Space group P-3m1 (No. 164)
One atom of each set of equivalent atoms:
Mn 0.0000 0.0000 0.0000 (multiplicity 1)
Mn 0.0000 0.0000 0.5000 (multiplicity 1)
Mn 0.3333 0.6667 0.2500 (multiplicity 2)
I 0.0000 0.0000 0.3046 (multiplicity 2)
I 0.3333 0.6667 0.0545 (multiplicity 2)
I 0.3333 0.6667 0.5545 (multiplicity 2)
I 0.3333 0.6667 0.8045 (multiplicity 2)

Peak list (6 most intense, 10° ≤ 2θ ≤ 80°, low angle first)
- hkl 0 0 4, 2θ 11.7, I 57
- hkl 0 0 8, 2θ 23.5, I 29
>>>
== Here the page continues ==

Steps Taken During an Arm Lift Surgery

Brachioplasty is performed in either a surgical suite, outpatient surgery center or hospital. Your doctor will use one of two anesthesia methods: general anesthesia or IV sedation and local anesthesia. After you are asleep, an incision is made in the predetermined place on the underarm. If there is excess underarm fat, liposuction is used to remove that first.

During the surgery, the plastic surgeon trims and shapes the underlying tissue. Excess skin is excised and then the incision is closed. If drains are necessary to collect excess fluids, they are placed. Dressings are put in place to cover the incisions, and compression garments are added to minimize swelling and support the arms as they adapt to their newly toned shape. Plan for the surgery to take upwards of two hours, and then you'll stay in recovery for a short while before being released.

Healing After Arm Lift Surgery

Expect some mild discomfort for the first few days. Your plastic surgeon will prescribe prescription pain relief to keep you comfortable. Plan to return to your surgeon to have the drains removed and ensure things are healing properly. Many plastic surgeons use dissolving stitches, but if your surgeon used regular stitches you will return to have them removed in one or two weeks. Swelling takes up to two weeks to fade.

Provided that you're healing well, you will be able to return to work after five days of rest. It takes about 14 days before you can get back to exercise routines.

Are your sagging arms embarrassing you? Do you hide them behind long sleeves, even in warmer weather? You're not alone. Watch this video from the American Society of Plastic Surgeons to see how arm lift surgeries are on the rise. Dr. Kessler specializes in Newport Beach arm lifts. Schedule a consultation with his office to find out how you can feel comfortable in sleeveless shirts again. Call (949) 644-6544 or complete Dr. Kessler's online contact form.

1 comment:

  1. Plastic Surgery advantage shown here.I am also need change my eyes by help ofeyelid surgery
    Thanks for sharing.
